Search the contents further below for the word "Input" and give back each line that has it.

=====
# La5Sm3In3
Computed powder XRD pattern, λ = 1.5418 Å (Cu Kα). Input: the PBE geometry in Alexandria.
Lines closer than 0.1° are merged.

Structure:
a b c (Å): 11.1050 11.1050 3.4742
angles (deg): 90.00 90.00 120.00
Space group P-62m (No. 189)
Inequivalent atoms, fractional coordinates:
La 0.0000 0.3414 0.0000 (multiplicity 3)
La 0.3333 0.6667 0.0000 (multiplicity 2)
Sm 0.0000 0.8306 0.0000 (multiplicity 3)
In 0.0000 0.5889 0.5000 (multiplicity 3)

The 6 most intense peaks (2θ from 5° to 70°), sorted by position:
| two_theta | I/Imax |
| --- | --- |
| 27.83 | 80 |
| 30.35 | 79 |
| 33.60 | 100 |
| 35.75 | 99 |
| 41.64 | 92 |
| 63.96 | 80 |

=====

# La5SmIn3
Computed powder XRD pattern, λ = 1.5418 Å (Cu Kα). Input: the PBE geometry in Alexandria.
Lines closer than 0.1° are merged.

Structure:
a b c (Å): 9.7284 9.7284 7.0735
angles (deg): 90.00 90.00 120.00
Space group P6_3/mcm (No. 193)
Inequivalent atoms, fractional coordinates:
La 0.0000 0.3384 0.2500 (multiplicity 6)
La 0.3333 0.6667 0.0000 (multiplicity 4)
Sm 0.0000 0.0000 0.0000 (multiplicity 2)
In 0.0000 0.3253 0.7500 (multiplicity 6)

The 6 most intense peaks (2θ from 5° to 70°), sorted by position:
| two_theta | I/Imax |
| --- | --- |
| 31.27 | 97 |
| 31.87 | 100 |
| 45.25 | 35 |
| 56.41 | 36 |
| 56.78 | 19 |
| 62.02 | 29 |

=====

# La4Sm2In
Computed powder XRD pattern, λ = 1.5418 Å (Cu Kα). Input: the PBE geometry in Alexandria.
Lines closer than 0.1° are merged.

Structure:
a b c (Å): 6.436 11.338 6.616
angles (deg): 90.00 91.20 90.00
Space group P2_1/c (No. 14)
Inequivalent atoms, fractional coordinates:
La 0.063 0.153 0.459 (multiplicity 4)
La 0.404 0.736 0.725 (multiplicity 4)
Sm 0.249 0.032 0.950 (multiplicity 4)
In 0.500 0.000 0.500 (multiplicity 2)

The 6 most intense peaks (2θ from 5° to 70°), sorted by position:
| two_theta | I/Imax |
| --- | --- |
| 30.69 | 100 |
| 31.31 | 66 |
| 31.67 | 73 |
| 32.18 | 59 |
| 34.11 | 70 |
| 34.58 | 70 |

=====

# LaSm4In
Computed powder XRD pattern, λ = 1.5418 Å (Cu Kα). Input: the PBE geometry in Alexandria.
Lines closer than 0.1° are merged.

Structure:
a b c (Å): 3.672 3.672 14.540
angles (deg): 90.00 90.00 90.00
Space group P4/mmm (No. 123)
Inequivalent atoms, fractional coordinates:
La 0.000 0.000 0.000 (multiplicity 1)
Sm 0.000 0.000 0.356 (multiplicity 2)
Sm 0.500 0.500 0.181 (multiplicity 2)
In 0.500 0.500 0.500 (multiplicity 1)

The 6 most intense peaks (2θ from 5° to 70°), sorted by position:
| two_theta | I/Imax |
| --- | --- |
| 30.54 | 100 |
| 34.54 | 39 |
| 37.10 | 11 |
| 49.65 | 14 |
| 51.59 | 17 |
| 59.42 | 30 |

=====

# La2Sm3In3
Computed powder XRD pattern, λ = 1.5418 Å (Cu Kα). Input: the PBE geometry in Alexandria.
Lines closer than 0.1° are merged.

Structure:
a b c (Å): 4.583 4.998 20.985
angles (deg): 90.00 90.00 90.00
Space group Immm (No. 71)
Inequivalent atoms, fractional coordinates:
La 0.000 0.000 0.238 (multiplicity 4)
Sm 0.000 0.000 0.000 (multiplicity 2)
Sm 0.000 0.500 0.117 (multiplicity 4)
In 0.000 0.000 0.500 (multiplicity 2)
In 0.000 0.500 0.379 (multiplicity 4)

The 6 most intense peaks (2θ from 5° to 70°), sorted by position:
| two_theta | I/Imax |
| --- | --- |
| 31.50 | 100 |
| 34.18 | 18 |
| 35.94 | 18 |
| 39.32 | 14 |
| 59.53 | 12 |
| 61.84 | 14 |

=====

# LaSm5In5
Computed powder XRD pattern, λ = 1.5418 Å (Cu Kα). Input: the PBE geometry in Alexandria.
Lines closer than 0.1° are merged.

Structure:
a b c (Å): 16.775 6.001 6.930
angles (deg): 90.00 95.62 90.00
Space group C2/m (No. 12)
Inequivalent atoms, fractional coordinates:
La 0.000 0.000 0.000 (multiplicity 2)
Sm 0.000 0.000 0.500 (multiplicity 2)
Sm 0.139 0.500 0.432 (multiplicity 4)
Sm 0.180 0.500 0.942 (multiplicity 4)
In 0.000 0.500 0.000 (multiplicity 2)
In 0.168 0.000 0.280 (multiplicity 4)
In 0.174 0.000 0.719 (multiplicity 4)

The 6 most intense peaks (2θ from 5° to 70°), sorted by position:
| two_theta | I/Imax |
| --- | --- |
| 28.97 | 35 |
| 29.78 | 100 |
| 32.17 | 61 |
| 32.78 | 78 |
| 35.26 | 52 |
| 44.40 | 50 |
=====

Computed powder XRD pattern, λ = 1.5418 Å (Cu Kα). Input: the PBE geometry in Alexandria.
Computed powder XRD pattern, λ = 1.5418 Å (Cu Kα). Input: the PBE geometry in Alexandria.
Computed powder XRD pattern, λ = 1.5418 Å (Cu Kα). Input: the PBE geometry in Alexandria.
Computed powder XRD pattern, λ = 1.5418 Å (Cu Kα). Input: the PBE geometry in Alexandria.
Computed powder XRD pattern, λ = 1.5418 Å (Cu Kα). Input: the PBE geometry in Alexandria.
Computed powder XRD pattern, λ = 1.5418 Å (Cu Kα). Input: the PBE geometry in Alexandria.